Assessment of Radiation Injury (Biodosimetry)


After a suspected radiation injury, it is vital to determine the extent of actual injury to determine treatment or disposition. The goals of the Biodosimetry Program are to develop rapid, precise methods to assess the severity of radiation injury as early as possible after the event. These methods will aid in the triage of personnel during a radiological scenario. They will guide treatment decisions, and aid in monitoring recovery from injury and effectiveness of treatments.

The gold standard for biodosimetry has been cytogenetics (analysis of chromosomal abnormalities), including dicentric assays. To increase throughput during mass casualty scenarios, AFRRI has been working on identifying novel biomarkers amenable to accelerated analysis of noninvasive samples.

To increase precision, multiparameter assessment has been a recent focus of AFRRI’s program, together with development of prognostic algorithms using these data. AFRRI has been working with corporate partners to devise deployable platforms incorporating both detection processes and software. Software developed by AFRRI staff has been deployed to DOD websites to aid in assessment of radiation injury severity by integrating a variety of medical data available to health workers in the field.


Some AFRRI information products are available to qualified users from the Defense Technical Information Center. "AD" numbers that appear after titles are assigned by DTIC for its use in locating documents.


AFRRI Adult/Pediatric Field Medical Record (AFRRI Form 330)—Provides a convenient one-page form for gathering emergency medical information in the field. Applicable to both adult and pediatric cases.

AFRRI Biodosimetry Worksheet (AFRRI Form 331)—Provides a place for recording the facts about a case of radiation exposure, including the source and type of radiation, the extent of exposure, and the nature of the resulting injuries. Applicable to both adult and pediatric cases.

AFRRI Radiocesium Worksheet (AFRRI Form 335)—Flowchart details steps for screening patients suspected of having been or confirmed to have been exposed to radiocesium during a radiation dispersal device (RDD) event.

East Tools

Exposure and Symptom Triage (EAST) tools are designed to aid first responders in the triage of patients involved in a mass-casualty incident involving radiation. The use of these worksheets is to be utilized after a primary trauma triage and life-treats have been addressed and to aid in the decision-making process for administering the FDA-approved drugs for hematopoietic acute radiation syndrome (H-ARS), which need to be administered  early (24-48 hrs) after exposure. It is intended that the H-ARS EAST worksheet is used first followed by the gastrointestinal acute radiation syndrome (GI-ARS) EAST worksheet. USUHS/AFFRRI/PMB has modified the worksheets to be annotatable and to streamline the use of the  EAST H- and GI-ARS worksheets.  Exposure and Symptom Triage (EAST) tools are designed to aid first responders in the triage of patients involved in a mass-casualty incident involving radiation. The use of these worksheets is to be utilized after a primary trauma triage and life-treats have been addressed and to aid in the decision-making process for administering the FDA-approved drugs for hematopoietic acute radiation syndrome (H-ARS), which need to be administered  early (24-48 hrs) after exposure. It is intended that the H-ARS EAST worksheet is used first followed by the gastrointestinal acute radiation syndrome (GI-ARS) EAST worksheet. USUHS/AFFRRI/PMB has modified the worksheets to be annotatable and to streamline the use of the  EAST H- and GI-ARS worksheets.

  • Hick JL, Bader JL, Coleman CN, Ansari AJ, Chang A, Salame-Alfie A, Hanfling D, Koerner JF. Proposed "Exposure And Symptom Triage" (EAST) Tool to Assess Radiation Exposure After a Nuclear Detonation. Disaster Med Public Health Prep. 2018 Jun;12(3):386-395. doi: 10.1017/dmp.2017.86. Epub 2017 Jul 31. PMID: 29911522.
  • Kenchegowda D, Bolduc DL, Kurada L, Blakely WF. Severity scoring systems for radiation-induced GI injury - prioritization for use of GI-ARS medical countermeasures. Int J Radiat Biol. 2023;99(7):1037-1045. doi: 10.1080/09553002.2023.2210669. Epub 2023 May 24. PMID: 37172305.


A computer-based software diagnostic tool for use by health-care providers early after a radiation incident. Assists providers in identifying individuals with significant radiation exposures and in making appropriate treatment decisions. BAT is NOT a substitute for treatment decisions by physicians and other trained health-care professionals.

Program Information

Previous patient data files: BAT version 0.7.5 saved patient files to a different location than the current version of BAT available on this website. If you are upgrading from the 0.7.5 release, you will need to move the files from the old install directory to the new Biodose_AFRRI folder. When you start the newly installed version of BAT, you will get a warning message. Follow the directions (the old and new location folders will be listed) on this warning message. Remember to delete the original (old) “data” folder after you have moved the files. If you do not know how to move the files, or do not have sufficient access to remove the old “data” folder, please consult with your system administrator.

Windows Color Scheme setting: If you have changed your Windows Color Scheme to one of the preset ones (e.g., silver or olive green) or modified the colors using the Advanced option, some of the screen colors will not display properly—most noticeable on BAT's splash screen. The numbered columns in the following two tables will appear as black rather than numbered: the “Therapy” table on screen 10 and the “Wound” table on screen 12. This issue only affects the look of the BAT program, not the calculations. To return your Windows Color Scheme to the Default setting (blue): right click anywhere on the desktop then select Properties > Appearance > Color Scheme > Default (blue). For additional help, please consult with your system administrator.

Print Screen: Every screen in BAT gives the option to print the currently displayed screen via a “Print this screen” button or through the toolbar. The program uses your computer's print screen drivers, which may differ from user to user. As a result, some information may be lost between the screen as displayed and the printed sheet (such as the information of the lymphocyte kinetics screens). To print exactly what is seen on your screen, use CRTL+PrtSc and paste the resulting image into a document. For more information on this method, please consult your system administrator.

For questions about using the BAT software, contact AFRRI BAT project managers.

Privacy statement and disclaimer

  • The Armed Forces Radiobiology Research Institute (AFRRI) and the United States Government are not responsible for any damage that occurs as a result of the use of this program. Users assume all responsibility for the results of the program's use.
  • All information obtained by the use of this program is confidential under the Privacy Act of 1974. Misuse of this information violates the Privacy Act of 1974 and is subject to the penalties thereof.
  • The WinFRAT program is NOT a substitute for treatment decisions by physicians and other trained healthcare professionals. AFRRI, DoD, and the United States Government do not assume responsibility for use (or misuse) of the WinFRAT program by anyone other than federal healthcare providers acting within the scope of their duties.

Features and Request

  • Runs on Windows XP, Vista, or 7.
  • Uses templates to collect, integrate, and archive data obtained from patients accidentally exposed to ionizing radiation.
  • Includes an interactive human body map to easily indicate location of radioactivity detected by an appropriate device.
  • Delivers diagnostic information (clinical signs and symptoms, physical dosimetry, etc.).
  • Generates diagnostic indices for the development of a multiparameter dose assessment.
  • Assesses clinical parameters useful for casualty management.
  • Displays concise, relevant patient diagnostic information.
  • Archives information for further use in radiation protection management.
  • Read the BAT Brochure for more information
  • Request BAT v 1.06 or WinFRAT v


Enables first responders to triage suspected radiation casualties based on the initial, or prodromal, features listed in the Emergency Radiation Medicine Response - AFRRI Pocket Guide

Development status—Prototype release version beta

Program Information

WinFRAT users: First-responders Radiological Assessment Triage for Windows (WinFRAT) is to be used by any person who has the responsibility to assess and record medical information from a suspected radiation event.

Hardware and operating system requirements: First-responders Radiological Assessment Triage for Windows (WinFRAT) runs on Windows XP SP3, Vista, or 7, with .NET Framework 3.5 SP1, with a minimum of a Pentium 200 with 1 MB of RAM and 10 MB of free disk space. No endorsement is implied nor should be inferred from reference to any commercial products.

Distribution: Distribution is limited to individuals from countries allied to the U.S. and to individuals from non-allied countries that are not currently defined by the Department of State as Terrorist Countries, subject to review and approval by the Department of Defense. U.S. Government users may request and obtain the current WinFRAT software and future upgrades.

Records of crystals that have nothing to do with the entry
- - -
Entry 1:
Mg14NiC | GGA-PBE | optimized geometry

a = 6.236 Å, b = 7.006 Å, c = 9.204 Å
α = 90.00°, β = 90.00°, γ = 124.17°
Element x y z (fractional)
Mg  0.672  0.305  0.625
Mg  0.732  0.616  0.387
Mg  0.163  0.832  0.625
Mg  0.295  0.106  0.951
Mg  0.809  0.879  0.125
Mg  0.672  0.867  0.625
Mg  0.853  0.176  0.362
Mg  0.221  0.361  0.625
Mg  0.809  0.431  0.125
Mg  0.295  0.106  0.299
Mg  0.732  0.616  0.863
Mg  0.295  0.689  0.951
Mg  0.295  0.689  0.299
Mg  0.853  0.176  0.888
C  0.121  0.811  0.125
Ni  0.182  0.341  0.125

**Excess energy over the best structure of this formula in the dataset**: 0 meV per atom
**DFT total energy**: -2.169 eV per atom
**Formation energy**: 0.1692 eV per atom
**Size of the total moment**: 0.00 μB/f.u.

***

Entry 2:
Mg14NiC | GGA-PBE | optimized geometry

a = 6.250 Å, b = 6.250 Å, c = 9.470 Å
α = 90.00°, β = 90.00°, γ = 120.00°
Element x y z (fractional)
Mg  0.666  0.834  0.125
Mg  0.323  0.646  0.377
Mg  0.667  0.833  0.625
Mg  0.833  0.667  0.372
Mg  0.165  0.833  0.625
Mg  0.168  0.834  0.125
Mg  0.323  0.177  0.873
Mg  0.854  0.177  0.377
Mg  0.667  0.335  0.625
Mg  0.666  0.332  0.125
Mg  0.323  0.646  0.873
Mg  0.833  0.667  0.878
Mg  0.854  0.177  0.873
Mg  0.323  0.177  0.377
C  0.167  0.333  0.625
Ni  0.167  0.333  0.125

**Excess energy over the best structure of this formula in the dataset**: 117 meV per atom
**DFT total energy**: -2.052 eV per atom
**Formation energy**: 0.2866 eV per atom
**Size of the total moment**: 0.00 μB/f.u.

***

Entry 3:
MgCO3 | GGA-PBE | optimized geometry

a = 5.163 Å, b = 5.163 Å, c = 3.647 Å
α = 90.00°, β = 90.00°, γ = 110.97°
Element x y z (fractional)
Mg  0.788  0.212  0.250
Mg  0.212  0.788  0.750
O  0.107  0.346  0.647
O  0.583  0.417  0.750
O  0.893  0.654  0.147
O  0.346  0.107  0.353
O  0.417  0.583  0.250
O  0.654  0.893  0.853
C  0.653  0.653  0.000
C  0.347  0.347  0.500

**DFT total energy**: -6.793 eV per atom
**Formation energy**: -2.0705 eV per atom
**Size of the total moment**: 0.00 μB/f.u.

=====

1.
DFT (PBE) results for a relaxed Li3La crystal.

Results
DFT total energy   -9.9 eV for the cell shown
Crystal system   cubic

Unit cell a=5.265 b=5.265 c=5.265 alpha=60.00 beta=60.00 gamma=60.00
Positions (direct):
Li 0.000 0.000 0.000
Li 0.250 0.250 0.250
Li 0.750 0.750 0.750
La 0.500 0.500 0.500



2.
DFT (PBE) results for a relaxed Li5CuP2O8 crystal.

Results
DFT total energy   -197.8 eV for the cell shown
Crystal system   monoclinic
Excess energy over the best structure of this formula in the dataset   0.066 eV per formula unit

Unit cell a=5.384 b=6.155 c=9.981 alpha=90.00 beta=90.10 gamma=90.00
Positions (direct):
Li 0.000 0.000 0.000
Li 0.001 0.000 0.495
Li 0.304 0.500 0.750
Li 0.311 0.500 0.248
Li 0.478 0.252 0.001
Li 0.478 0.748 0.001
Li 0.482 0.254 0.496
Li 0.482 0.746 0.496
Li 0.827 0.245 0.248
Li 0.827 0.755 0.248
Cu 0.813 0.246 0.758
Cu 0.813 0.754 0.758
P 0.328 0.000 0.749
P 0.330 0.000 0.252
P 0.981 0.500 0.010
P 0.984 0.500 0.495
- - -

Features and Request

  • Provide, with minimum text entry, signs and symptoms, blood lymphocyte counts, and dosimetry data.
  • Assess the multiparameter triage dose or the exposure without an assigned dose or indicate no evidence of overexposure.
  • Provide dose-specific messages addressing reliability and diagnostic information, hospitalization estimations, and mortality projections.
  • Read the WinFRAT Brochure for more information
  • Request BAT v 1.06 or WinFRAT v


After a nuclear detonation, a high percentage of radiation casualties will have combined injuries: radiation exposure combined with wounds, burns or other trauma. Research at AFRRI and elsewhere has shown a powerful synergy between radiation and other injuries in causing deleterious biological effects, including enhanced ARS, delayed wound healing and increased mortality. Pharmacological countermeasures that are effective against radiation injury alone are not always effective against combined injury. AFRRI is discovering mechanisms of, and developing promising candidates for combined injury.


AFRRI’s earlier work on the biological effects of depleted uranium injury has evolved into a broad program on internal contamination with radionuclides and heavy metals. Metal alloys proposed as replacements for depleted uranium have been subjected to toxicological analysis. Research conducted at AFRRI has led to changes in DOD policy for medical management of depleted uranium and reconsideration of deployment of other specific alloys. To address internal contamination with radionuclides, AFRRI is exploring novel materials designed to remove radionuclides from the body (decorporation agents). AFRRI is also investigating the long-term health effects of depleted uranium, including the basic molecular mechanisms of these effects.


In radiological scenarios, many individuals may be subjected to ionizing radiation at low doses or low dose rates. These exposures may result from fallout fields, radiological dispersal devices (“dirty bombs”), nuclear accidents or space travel. The primary concern from such exposures is not Acute Radiation Syndrome (ARS), but late effects such as cancer. The molecular mechanisms leading to these effects are different from those causing acute effects, and the mechanisms are being investigated at AFRRI. A better understanding of low dose and dose rate effects will lead to improved radiation protection guidance and will suggest targets for pharmacological countermeasures. AFRRI has been investigating countermeasure candidates that prevent radiation-induced leukemia.